Kevin Durant

Kevin Durant

Wednesday, February 22, 2012

Jekyll and Hyde#4

Between two parts of the text: records of crystals:
'''
DFT (PBE with a Hubbard U) results for a geometry-optimized LiFeBO3 structure.

```
LiFeBO3
1.0
-1.658 2.224 1.515
-9.588 -9.892 4.407
1.958 -6.839 12.602
Li Fe B O
9 9 9 27
Direct
0.508 0.883 0.900
0.486 0.563 0.885
0.561 0.884 0.553
0.506 0.216 0.884
0.450 0.554 0.563
0.503 0.251 0.547
0.494 0.900 0.217
0.489 0.546 0.203
0.501 0.203 0.252
0.064 0.805 0.753
0.008 0.442 0.806
0.011 0.113 0.774
0.941 0.753 0.443
0.975 0.464 0.430
0.023 0.106 0.465
0.986 0.774 0.114
0.987 0.429 0.107
0.010 0.113 0.113
0.996 0.663 0.991
0.001 0.667 0.667
0.987 0.346 0.664
0.016 0.991 0.346
0.531 0.014 0.668
0.467 0.668 0.319
0.998 0.333 0.334
0.007 0.000 0.000
0.504 0.318 0.015
0.010 0.915 0.980
0.970 0.573 0.979
0.077 0.763 0.904
0.564 0.913 0.679
0.504 0.408 0.914
0.007 0.593 0.774
0.072 0.773 0.633
0.025 0.104 0.916
0.055 0.978 0.448
0.057 0.333 0.764
0.922 0.635 0.593
0.919 0.904 0.334
0.946 0.257 0.651
0.960 0.448 0.574
0.515 0.024 0.759
0.447 0.679 0.409
0.474 0.566 0.332
0.514 0.103 0.566
0.986 0.980 0.105
0.480 0.758 0.218
0.009 0.326 0.433
0.984 0.241 0.327
0.001 0.432 0.242
0.944 0.651 0.092
0.070 0.091 0.257
0.496 0.330 0.104
0.511 0.217 0.025
```

Computed properties:
Symmetry: P1 (1)
Volume (Å³ per atom): 10.62
ρ (g/cm3): 3.17
Formation enthalpy at 0 K (kJ/mol of atoms): -220.15

DFT (PBE with a Hubbard U) results for a geometry-optimized Li2FeBO4 structure.

```
Li2FeBO4
1.0
-1.774 -1.678 -4.599
5.908 0.612 -2.503
3.049 -9.973 2.462
Li Fe B O
8 4 4 16
Direct
0.649 0.905 0.791
0.851 0.905 0.291
0.827 0.784 0.572
0.673 0.784 0.072
0.327 0.216 0.928
0.173 0.216 0.428
0.149 0.095 0.709
0.351 0.095 0.209
0.853 0.495 0.847
0.353 0.505 0.653
0.647 0.495 0.347
0.147 0.505 0.153
0.184 0.805 0.939
0.316 0.805 0.439
0.684 0.195 0.561
0.816 0.195 0.061
0.303 0.942 0.855
0.197 0.942 0.355
0.920 0.751 0.926
0.580 0.751 0.426
0.185 0.712 0.544
0.660 0.616 0.711
0.315 0.712 0.044
0.840 0.616 0.211
0.160 0.384 0.789
0.685 0.288 0.956
0.340 0.384 0.289
0.815 0.288 0.456
0.420 0.249 0.574
0.080 0.249 0.074
0.803 0.058 0.645
0.697 0.058 0.145
```

Computed properties:
Symmetry: P2_1/c (14)
Volume (Å³ per atom): 11.20
ρ (g/cm3): 2.68
Formation enthalpy at 0 K (kJ/mol of atoms): -223.23

- Among the records above, which one has the lowest ρ?
  Li2FeBO4

- What is the formula in the second record?
  Li2FeBO4
'''
Back to the text:

Who am I?
Who are you?
Am I one?
Or am I two?
Nobody knows
It’s our little secret
But what if they find out?
How shall we keep it?
I’m afraid they’ll find out
What shall we do?
We could say who murderer is
Was it me or you?
I know they’re going to find out
I can just tell
The question is will we end up in heaven?
Or will we be sent down to hell?
I don’t want to go to hell
That’s not where I below
But my other half is telling me,
That I am very wrong
God told us not to murderer
But it’s something I have to do
It’s the only way destruction
Can stop from coming over you
Who am I?
Who are you?
Am I one?
Or are we two?

Thursday, February 16, 2012

Jekyll and Hyde#3


You always have a good, while you always have a bad
One that makes you happy and another that makes you mad
There are two voices in your head that are always talking
And they want you to side with them so they’re always knocking
You don’t know what to do, not sure what side to take
The voices in your head won’t stop causing a major headache
You know you have to make a decision, which one will you choose?
Better make a choice quick, or you’ll be left with a bruise
These voices are now yelling, screaming with all their might
You better hurry, as these two are about to fight
A decision is right around the corner, have you chosen your fate?
This can be very easy; just don’t pick the one you hate
 I see you made your choice; do you think it was the right one?
I guess we’ll never know, maybe we will see in the long run
You probably think that decision was easy
But yet I know you’re feeling queasy
You’re conscience helped you make this difficult decision
It’s like it already had it in its vision
But wait what if you had the wrong thought
It’s too late you know what we’ve been taught
The past is the past and there is nothing you can do
But who are you to blame, your mind or you?

Sunday, February 12, 2012

Jekyll and Hyde#2


Curiosity is wanting to know what’s going on
The power of this feeling makes you drawn
I see this box in the room
It feels as like I’m walking into my own tomb

The box, is there something inside?
What, do you have something you’re trying to hide?
I need to know, it’s eating me alive
If I don’t find out, I think I might die

I don’t know what it could possibly be
Please, I need someone to tell me
Is it evil, is that what’s in there?
I’m not sure; it’s something I might not be able to bare

The demon of curiosity is fighting to come alive
He’s ‘gonna find out what’s in the box, he’s ‘gonna thrive
Is it Pandora’s Box, something that releases evil into the world?
The curiosity is making me weak and curled
Is having all the curiosity even worth it?
I guess we will never know, that until the box is split

Thursday, February 2, 2012

Jekyll and Hyde#1

Author's note: I just felt as if it would be fun to write a poem about how it goes back and forth between good and evil. Hopefully I did this correctly! 

One is good
One is bad
Being happy is the way to go
The root of evil is down below
He comforts you with a gentle touch
And his counter-part will squeeze with a strong clutch
Arms opened wide, ready to spread jeer
As the one down below makes you shed a tear
You look up, and you know he’s there
Down below is the place people cannot bare
The hands of this man are soft and nice
One swipe with his claw, and boom you’ve been sliced
You pray and pray hoping to make everything better as it should be
But I’m afraid to talk as he might kill me
Now you wonder how these two men draw different attractions
As Dr. Jekyll and Mr. Hyde have many different actions

Tuesday, January 24, 2012

Short Story

                 Happiness was all around; we were all riding the bus back to the high school as we had just won the biggest game in Pewaukee Football History. Yelling at the top of our lungs, laughing hysterically, we were celebrating as if we had the Super Bowl Trophy on the bus. It felt as if nothing could bring any of us down, including me. It’s hard to even describe what I was feeling at that very moment. Sure, I was laughing and having a good time, but I felt as if someone just took out my brain and threw it somewhere. I wasn’t able to think straightly due to all this excitement. Although all this was a great moment, I had no idea what had happened an hour before kickoff. It turned out to be one of the darkest moments a person could experience in their entire life.
                The time was around 11:00 P.M. when I got home from the victory dinner at Buffalo Wild Wings. My bed wasn’t calling me yet so I decided I would stay up for awhile, just watching T.V. An hour or so had passed, and I was still watching that same TV, in the same position. That was, until the moment that changed my life had arrived. The time was now 12:00 A.M, and that’s when I heard a knock on the door. I thought it was some of my friends ding dong ditching me, seeing as they were going to be happy that we won the game, but it wasn’t to my surprise. A Pewaukee Police Officer stood at my front door step, and saw me as I had crept my way from the back door. Feeling a little bit uneasy about the situation, I approached him and asked “Is there something wrong, sir?” He just stood there with the look on his face, as if he couldn’t explain this serious situation to a sixteen year old. He just asked me if my mother was home, and that we should go get her. At this point, my mind was going off in a million different directions. My thoughts were twisted in my brain like a giant knot in my stomach. Had my grandpa pass? Are my sister’s okay? Nobody knew. Finally my mother came out, not knowing what was going on. The officer then said that he had been told to come to this residence and say that “a Mr. Kevin Conroy has been killed in a traffic accident”. I stood there in shock. The moments of silence grew frighteningly louder; the stillness became exasperating.  I didn’t move, I didn’t cry, I didn’t do anything. I just stood there until he left, and then I proceeded to my room, where being by myself felt as if it was the best solution. Now I was more conscious of this new disturbance. I was in complete denial. My father wasn’t dead, my best friend wasn’t gone. He has to have the wrong guy, this isn’t happening to me. I felt this until I picked up my phone, scrolled through my contacts with my sweaty palms, and found the one that said “Dad.” I then proceeded to call it, so I could hear my father’s voice, but there was nothing. No ring, no voice, no nothing. Awaiting for a ring with impatience, I decided I would call again, but I got the same result. The only sound that could be heard through my home was my warm tears hitting the cold floor.